_Input_
Record 1
{
  "formula": "Ta4Tl2P",
  "functional": "PBE",
  "state": "relaxed",
  "cell": [[-2.264, 2.264, 7.397], [2.264, -2.264, 7.397], [2.264, 2.264, -7.397]],
  "species": ["Ta", "Ta", "Ta", "Ta", "Tl", "Tl", "P"],
  "fractional_positions": [[0.000, 0.500, 0.500], [0.158, 0.158, 0.000], [0.500, 0.000, 0.500], [0.842, 0.842, 0.000], [0.352, 0.352, 0.000], [0.648, 0.648, 0.000], [0.000, 0.000, 0.000]],
  "density_kg_m3": 12734,
  "e_tot_ev_per_cell": -52.59,
  "delta_e_f_ev_per_fu": 5.0,
  "magnetic_moment_mub_per_fu": 0.55
}

Record 2
{
  "formula": "TaTl2P",
  "functional": "PBE",
  "state": "relaxed",
  "cell": [[3.330, 0.000, 0.000], [0.000, 3.330, 0.000], [0.000, 0.000, 8.297]],
  "species": ["Ta", "Tl", "Tl", "P"],
  "fractional_positions": [[0.000, 0.000, 0.000], [0.000, 0.000, 0.602], [0.500, 0.500, 0.267], [0.500, 0.500, 0.890]],
  "density_kg_m3": 11201,
  "e_tot_ev_per_cell": -22.03,
  "delta_e_f_ev_per_fu": 0.0,
  "magnetic_moment_mub_per_fu": 0.00,
  "polymorph_energy_mev_per_atom": 0
}

Record 3
{
  "formula": "TaTl2P",
  "functional": "PBE",
  "state": "relaxed",
  "cell": [[4.894, 0.000, 0.000], [0.000, 3.433, 0.000], [-1.412, 0.000, 5.012]],
  "species": ["Ta", "Tl", "Tl", "P"],
  "fractional_positions": [[0.000, 0.000, 0.000], [0.000, 0.500, 0.500], [0.500, 0.000, 0.500], [0.500, 0.500, 0.000]],
  "density_kg_m3": 12243,
  "e_tot_ev_per_cell": -19.24,
  "delta_e_f_ev_per_fu": 2.8,
  "magnetic_moment_mub_per_fu": 0.00,

_Activity_
Quote the data earlier on word for word.

_Solution_
Record 1
{
  "formula": "Ta4Tl2P",
  "functional": "PBE",
  "state": "relaxed",
  "cell": [[-2.264, 2.264, 7.397], [2.264, -2.264, 7.397], [2.264, 2.264, -7.397]],
  "species": ["Ta", "Ta", "Ta", "Ta", "Tl", "Tl", "P"],
  "fractional_positions": [[0.000, 0.500, 0.500], [0.158, 0.158, 0.000], [0.500, 0.000, 0.500], [0.842, 0.842, 0.000], [0.352, 0.352, 0.000], [0.648, 0.648, 0.000], [0.000, 0.000, 0.000]],
  "density_kg_m3": 12734,
  "e_tot_ev_per_cell": -52.59,
  "delta_e_f_ev_per_fu": 5.0,
  "magnetic_moment_mub_per_fu": 0.55
}

Record 2
{
  "formula": "TaTl2P",
  "functional": "PBE",
  "state": "relaxed",
  "cell": [[3.330, 0.000, 0.000], [0.000, 3.330, 0.000], [0.000, 0.000, 8.297]],
  "species": ["Ta", "Tl", "Tl", "P"],
  "fractional_positions": [[0.000, 0.000, 0.000], [0.000, 0.000, 0.602], [0.500, 0.500, 0.267], [0.500, 0.500, 0.890]],
  "density_kg_m3": 11201,
  "e_tot_ev_per_cell": -22.03,
  "delta_e_f_ev_per_fu": 0.0,
  "magnetic_moment_mub_per_fu": 0.00,
  "polymorph_energy_mev_per_atom": 0
}

Record 3
{
  "formula": "TaTl2P",
  "functional": "PBE",
  "state": "relaxed",
  "cell": [[4.894, 0.000, 0.000], [0.000, 3.433, 0.000], [-1.412, 0.000, 5.012]],
  "species": ["Ta", "Tl", "Tl", "P"],
  "fractional_positions": [[0.000, 0.000, 0.000], [0.000, 0.500, 0.500], [0.500, 0.000, 0.500], [0.500, 0.500, 0.000]],
  "density_kg_m3": 12243,
  "e_tot_ev_per_cell": -19.24,
  "delta_e_f_ev_per_fu": 2.8,
  "magnetic_moment_mub_per_fu": 0.00,